(Excerpt)
┌──
Record 1
For PrDy2S4, a cell relaxed with GGA-PBE gives the simulated powder diffraction line list in this record (Cu Kα, 1.54184 Å).
Kinematic intensities with the Lorentz-polarization factor, no thermal factor.

Main lines, low angle first (2θ = 5–70°):
24.99°, rel. 38
25.71°, rel. 100
27.12°, rel. 67
27.35°, rel. 34
30.60°, rel. 29
37.41°, rel. 56
38.05°, rel. 24
38.60°, rel. 22
46.54°, rel. 43
53.96°, rel. 27

Structural model:
a b c (Å): 11.8970 3.8993 14.2532
angles (deg): 90.00 90.00 90.00
Element x y z (fractional)
1 Pr 0.2452 0.2500 0.1668
2 Pr 0.2548 0.7500 0.6668
3 Pr 0.7452 0.2500 0.3332
4 Pr 0.7548 0.7500 0.8332
5 Dy 0.0661 0.2500 0.3893
6 Dy 0.0892 0.2500 0.9040
7 Dy 0.4108 0.7500 0.4040
8 Dy 0.4339 0.7500 0.8893
9 Dy 0.5661 0.2500 0.1107
10 Dy 0.5892 0.2500 0.5960
11 Dy 0.9108 0.7500 0.0960
12 Dy 0.9339 0.7500 0.6107
13 S 0.0322 0.7500 0.7829
14 S 0.0938 0.2500 0.5790
15 S 0.1322 0.7500 0.0358
16 S 0.2035 0.7500 0.3178
17 S 0.2965 0.2500 0.8178
18 S 0.3678 0.2500 0.5358
19 S 0.4062 0.7500 0.0790
20 S 0.4678 0.2500 0.2829
21 S 0.5322 0.7500 0.7171
22 S 0.5938 0.2500 0.9210
23 S 0.6322 0.7500 0.4642
24 S 0.7035 0.7500 0.1822
25 S 0.7965 0.2500 0.6822
26 S 0.8678 0.2500 0.9642
27 S 0.9062 0.7500 0.4210
28 S 0.9678 0.2500 0.2171


Record 2
For Pr4DyS7, a cell relaxed with GGA-PBE gives the simulated powder diffraction line list in this record (Cu Kα, 1.54184 Å).
Kinematic intensities with the Lorentz-polarization factor, no thermal factor.

Main lines, low angle first (2θ = 5–70°):
23.23°, rel. 100
23.49°, rel. 33
23.64°, rel. 90
25.31°, rel. 40
26.66°, rel. 44
30.26°, rel. 43
31.85°, rel. 69
33.01°, rel. 43
40.77°, rel. 38
45.80°, rel. 33

Structural model:
a b c (Å): 6.9764 6.9764 11.9447
angles (deg): 104.58 104.58 33.00
Element x y z (fractional)
1 Pr 0.0000 0.0000 0.0000
2 Pr 0.1903 0.1903 0.7680
3 Pr 0.5872 0.5872 0.3821
4 Pr 0.8879 0.8879 0.5721
5 Dy 0.7764 0.7764 0.1528
6 S 0.1572 0.1572 0.2223
7 S 0.2271 0.2271 0.5234
8 S 0.3829 0.3829 0.0788
9 S 0.5487 0.5487 0.6259
10 S 0.6318 0.6318 0.9329
11 S 0.8476 0.8476 0.7902
12 S 0.9276 0.9276 0.3528

~~~~~

Ca5Nb4Co2O18: theoretical XRD peak list (λ = 1.5418 Å (Cu Kα)), based on a GGA+U-relaxed structure.
Neutral-atom scattering factors, no anomalous dispersion.

Principal peaks in the range 10 to 90 degrees two-theta, low angle first:
hkl  2theta  Rel. int.
1 1 1  22.81  100
2 0 2  32.13  35
1 1 -5  32.41  71
3 1 -3  32.49  70
0 2 0  32.90  33
4 0 -8  46.46  26
2 2 2  46.64  49
2 0 -10  57.53  21
1 3 -5  58.43  17
3 3 -3  58.48  16

Structure:
```
data_Ca5Nb4Co2O18
_chemical_formula_sum 'Ca10 Nb8 Co4 O36'
_cell_length_a 9.5844
_cell_length_b 5.4455
_cell_length_c 16.6187
_cell_angle_alpha 90.00
_cell_angle_beta 124.86
_cell_angle_gamma 90.00
_symmetry_space_group_name_H-M 'P 1 c 1'
_symmetry_Int_Tables_number 7
loop_
_symmetry_equiv_pos_as_xyz
'x,y,z'
'x,-y,z+1/2'
loop_
_atom_site_label
_atom_site_fract_x
_atom_site_fract_y
_atom_site_fract_z
Ca1 0.0000 0.2305 0.0000
Ca2 0.1057 0.2561 0.7977
Ca3 0.3261 0.2458 0.6621
Ca4 0.4394 0.2598 0.4696
Ca5 0.7713 0.2663 0.1342
Nb1 0.0414 0.2592 0.4031
Nb2 0.2204 0.2466 0.2309
Nb3 0.5728 0.2492 0.9067
Nb4 0.7095 0.2376 0.7261
Co1 0.3813 0.2472 0.0622
Co2 0.8861 0.2523 0.5671
O1 0.0084 0.4637 0.1499
O2 0.0878 0.0491 0.6470
O3 0.1521 0.1728 0.3247
O4 0.2059 0.4455 0.9546
O5 0.2334 0.0591 0.5123
O6 0.2781 0.3315 0.1377
O7 0.3475 0.4636 0.8174
O8 0.4155 0.0261 0.3103
O9 0.4813 0.1643 0.9843
O10 0.5434 0.4555 0.6206
O11 0.5636 0.0441 0.1671
O12 0.6240 0.3152 0.8072
O13 0.6851 0.4617 0.4905
O14 0.7676 0.0401 0.9893
O15 0.8204 0.1637 0.6552
O16 0.8824 0.4646 0.2864
O17 0.9139 0.0532 0.8458
O18 0.9604 0.3343 0.4823
```

~~~~~

Record 1
Starting from DFT lattice parameters and positions (PBE), the powder diffractogram of LuBr was simulated for copper Kα.
No peak broadening, texture or thermal motion is included.

Principal peaks in the range 5 to 70 degrees two-theta, by intensity:
2θ (°), I (rel.)
30.0, 100.0
39.8, 85.2
28.6, 41.0
└──

(Wanted)
Now type out everything earlier on exactly.

(Reply)
Record 1
For PrDy2S4, a cell relaxed with GGA-PBE gives the simulated powder diffraction line list in this record (Cu Kα, 1.54184 Å).
Kinematic intensities with the Lorentz-polarization factor, no thermal factor.

Main lines, low angle first (2θ = 5–70°):
24.99°, rel. 38
25.71°, rel. 100
27.12°, rel. 67
27.35°, rel. 34
30.60°, rel. 29
37.41°, rel. 56
38.05°, rel. 24
38.60°, rel. 22
46.54°, rel. 43
53.96°, rel. 27

Structural model:
a b c (Å): 11.8970 3.8993 14.2532
angles (deg): 90.00 90.00 90.00
Element x y z (fractional)
1 Pr 0.2452 0.2500 0.1668
2 Pr 0.2548 0.7500 0.6668
3 Pr 0.7452 0.2500 0.3332
4 Pr 0.7548 0.7500 0.8332
5 Dy 0.0661 0.2500 0.3893
6 Dy 0.0892 0.2500 0.9040
7 Dy 0.4108 0.7500 0.4040
8 Dy 0.4339 0.7500 0.8893
9 Dy 0.5661 0.2500 0.1107
10 Dy 0.5892 0.2500 0.5960
11 Dy 0.9108 0.7500 0.0960
12 Dy 0.9339 0.7500 0.6107
13 S 0.0322 0.7500 0.7829
14 S 0.0938 0.2500 0.5790
15 S 0.1322 0.7500 0.0358
16 S 0.2035 0.7500 0.3178
17 S 0.2965 0.2500 0.8178
18 S 0.3678 0.2500 0.5358
19 S 0.4062 0.7500 0.0790
20 S 0.4678 0.2500 0.2829
21 S 0.5322 0.7500 0.7171
22 S 0.5938 0.2500 0.9210
23 S 0.6322 0.7500 0.4642
24 S 0.7035 0.7500 0.1822
25 S 0.7965 0.2500 0.6822
26 S 0.8678 0.2500 0.9642
27 S 0.9062 0.7500 0.4210
28 S 0.9678 0.2500 0.2171


Record 2
For Pr4DyS7, a cell relaxed with GGA-PBE gives the simulated powder diffraction line list in this record (Cu Kα, 1.54184 Å).
Kinematic intensities with the Lorentz-polarization factor, no thermal factor.

Main lines, low angle first (2θ = 5–70°):
23.23°, rel. 100
23.49°, rel. 33
23.64°, rel. 90
25.31°, rel. 40
26.66°, rel. 44
30.26°, rel. 43
31.85°, rel. 69
33.01°, rel. 43
40.77°, rel. 38
45.80°, rel. 33

Structural model:
a b c (Å): 6.9764 6.9764 11.9447
angles (deg): 104.58 104.58 33.00
Element x y z (fractional)
1 Pr 0.0000 0.0000 0.0000
2 Pr 0.1903 0.1903 0.7680
3 Pr 0.5872 0.5872 0.3821
4 Pr 0.8879 0.8879 0.5721
5 Dy 0.7764 0.7764 0.1528
6 S 0.1572 0.1572 0.2223
7 S 0.2271 0.2271 0.5234
8 S 0.3829 0.3829 0.0788
9 S 0.5487 0.5487 0.6259
10 S 0.6318 0.6318 0.9329
11 S 0.8476 0.8476 0.7902
12 S 0.9276 0.9276 0.3528

~~~~~

Ca5Nb4Co2O18: theoretical XRD peak list (λ = 1.5418 Å (Cu Kα)), based on a GGA+U-relaxed structure.
Neutral-atom scattering factors, no anomalous dispersion.

Principal peaks in the range 10 to 90 degrees two-theta, low angle first:
hkl  2theta  Rel. int.
1 1 1  22.81  100
2 0 2  32.13  35
1 1 -5  32.41  71
3 1 -3  32.49  70
0 2 0  32.90  33
4 0 -8  46.46  26
2 2 2  46.64  49
2 0 -10  57.53  21
1 3 -5  58.43  17
3 3 -3  58.48  16

Structure:
```
data_Ca5Nb4Co2O18
_chemical_formula_sum 'Ca10 Nb8 Co4 O36'
_cell_length_a 9.5844
_cell_length_b 5.4455
_cell_length_c 16.6187
_cell_angle_alpha 90.00
_cell_angle_beta 124.86
_cell_angle_gamma 90.00
_symmetry_space_group_name_H-M 'P 1 c 1'
_symmetry_Int_Tables_number 7
loop_
_symmetry_equiv_pos_as_xyz
'x,y,z'
'x,-y,z+1/2'
loop_
_atom_site_label
_atom_site_fract_x
_atom_site_fract_y
_atom_site_fract_z
Ca1 0.0000 0.2305 0.0000
Ca2 0.1057 0.2561 0.7977
Ca3 0.3261 0.2458 0.6621
Ca4 0.4394 0.2598 0.4696
Ca5 0.7713 0.2663 0.1342
Nb1 0.0414 0.2592 0.4031
Nb2 0.2204 0.2466 0.2309
Nb3 0.5728 0.2492 0.9067
Nb4 0.7095 0.2376 0.7261
Co1 0.3813 0.2472 0.0622
Co2 0.8861 0.2523 0.5671
O1 0.0084 0.4637 0.1499
O2 0.0878 0.0491 0.6470
O3 0.1521 0.1728 0.3247
O4 0.2059 0.4455 0.9546
O5 0.2334 0.0591 0.5123
O6 0.2781 0.3315 0.1377
O7 0.3475 0.4636 0.8174
O8 0.4155 0.0261 0.3103
O9 0.4813 0.1643 0.9843
O10 0.5434 0.4555 0.6206
O11 0.5636 0.0441 0.1671
O12 0.6240 0.3152 0.8072
O13 0.6851 0.4617 0.4905
O14 0.7676 0.0401 0.9893
O15 0.8204 0.1637 0.6552
O16 0.8824 0.4646 0.2864
O17 0.9139 0.0532 0.8458
O18 0.9604 0.3343 0.4823
```

~~~~~

Record 1
Starting from DFT lattice parameters and positions (PBE), the powder diffractogram of LuBr was simulated for copper Kα.
No peak broadening, texture or thermal motion is included.

Principal peaks in the range 5 to 70 degrees two-theta, by intensity:
2θ (°), I (rel.)
30.0, 100.0
39.8, 85.2
28.6, 41.0